## Source
┌──
Below is a 8-piece molecular cluster, C28H72ClO12P overall, with properties calculated with ωB97M-V/def2-TZVPD.

Element x y z (Å)
C: 1.737 2.428 -0.620
C: 2.102 1.111 0.037
O: 1.725 0.040 -0.861
P: 2.061 -1.434 -0.381
O: 2.010 -1.633 1.076
C: 0.937 -2.534 -1.249
C: 0.074 -3.350 -0.274
C: -1.133 -2.687 0.378
C: -1.957 -1.771 -0.508
O: -1.367 -0.515 -0.774
C: -1.073 0.286 0.362
C: -3.400 -1.685 0.000
O: -3.410 -1.339 1.365
C: -4.584 -1.697 2.063
C: -4.259 -0.782 -0.922
Cl: -4.560 0.818 -0.184
C: -5.585 -1.387 -1.356
C: -6.197 -0.690 -2.585
O: 3.506 -1.703 -1.029
C: 4.569 -2.108 -0.147
C: 5.789 -2.415 -0.991
H: 2.530 2.785 -1.271
H: 0.837 2.303 -1.222
H: 1.558 3.192 0.131
H: 1.567 0.992 0.975
H: 3.174 1.073 0.221
H: 1.574 -3.235 -1.791
H: 0.369 -1.999 -2.009
H: -0.223 -4.259 -0.800
H: 0.742 -3.676 0.524
H: -1.802 -3.495 0.683
H: -0.837 -2.197 1.302
H: -2.040 -2.252 -1.488
H: -0.365 -0.198 1.037
H: -0.603 1.191 -0.017
H: -1.973 0.571 0.899
H: -3.802 -2.702 -0.099
H: -5.435 -1.847 1.402
H: -4.422 -2.611 2.639
H: -4.836 -0.885 2.745
H: -3.677 -0.588 -1.821
H: -5.455 -2.452 -1.552
H: -6.301 -1.320 -0.535
H: -6.386 -1.414 -3.374
H: -7.165 -0.256 -2.346
H: -5.553 0.092 -2.977
H: 4.278 -2.985 0.427
H: 4.797 -1.311 0.558
H: 5.518 -3.032 -1.845
H: 6.520 -2.962 -0.397
H: 6.269 -1.503 -1.337
C: 0.345 -1.456 3.702
C: -0.619 -0.648 4.545
O: -1.707 -0.159 3.756
H: 0.723 -0.861 2.876
H: 1.195 -1.807 4.289
H: -0.156 -2.328 3.274
H: -0.133 0.234 4.960
H: -1.003 -1.247 5.380
H: -2.150 -0.917 3.362
C: 0.518 6.860 -0.645
C: 1.760 6.703 -1.500
O: 2.096 5.330 -1.707
H: 0.657 6.374 0.322
H: 0.289 7.913 -0.477
H: -0.345 6.396 -1.128
H: 2.622 7.154 -1.008
H: 1.624 7.200 -2.466
H: 1.354 4.911 -2.152
C: -0.848 -7.348 0.285
C: -1.537 -6.610 1.417
O: -2.746 -5.985 0.986
H: -0.633 -6.665 -0.538
H: 0.088 -7.796 0.620
H: -1.488 -8.144 -0.103
H: -0.902 -5.808 1.792
H: -1.746 -7.290 2.248
H: -3.335 -6.672 0.662
C: -4.544 0.606 5.552
C: -4.917 -0.809 5.946
O: -5.861 -1.387 5.046
H: -5.432 1.239 5.515
H: -3.835 1.037 6.260
H: -4.080 0.617 4.564
H: -5.390 -0.828 6.927
H: -4.021 -1.437 5.993
H: -5.463 -1.390 4.170
C: 6.124 6.023 -0.679
C: 5.719 4.733 0.009
O: 4.512 4.892 0.753
H: 6.257 6.818 0.057
H: 7.056 5.897 -1.231
H: 5.348 6.345 -1.380
H: 6.483 4.420 0.714
H: 5.593 3.933 -0.730
H: 3.826 5.156 0.131
C: -5.983 -3.089 -7.383
C: -6.892 -1.901 -7.127
O: -6.517 -1.180 -5.956
H: -5.990 -3.764 -6.527
H: -6.301 -3.642 -8.268
H: -4.952 -2.761 -7.539
H: -7.915 -2.233 -6.958
H: -6.894 -1.229 -7.991
H: -5.619 -0.860 -6.081
C: 10.293 5.905 -0.006
C: 9.990 4.554 0.614
O: 8.867 3.923 0.004
H: 9.426 6.562 0.071
H: 11.139 6.384 0.489
H: 10.536 5.798 -1.067
H: 9.734 4.667 1.666
H: 10.865 3.899 0.549
H: 9.069 3.795 -0.927

Calculated values
* orbital gap: 9.9 eV
* spin multiplicity: 1
* E_LUMO: 0.56 eV
* net charge: 0
* HOMO: -9.38 eV
* SMILES: CCOP(=O)(CCC[C@H](OC)[C@@H](OC)[C@H](Cl)CC)OCC.CCO.CCO.CCO.CCO.CCO.CCO.CCO

Below is a 12-piece molecular cluster, C28H72F6O14 overall in a non-equilibrium geometry, with properties calculated with ωB97M-V/def2-TZVPD.

Element x y z (Å)
C: -1.244 0.024 -0.388
O: -1.386 1.256 0.376
O: -2.564 -0.209 -0.882
C: -0.107 0.112 -1.474
F: 1.071 0.468 -0.886
F: 0.212 -1.063 -2.133
F: -0.362 1.034 -2.323
C: -0.263 1.667 1.207
C: -0.846 2.458 2.409
H: -0.058 2.808 3.076
H: -1.241 3.411 2.056
H: -1.584 1.882 2.966
H: 0.465 2.294 0.692
H: 0.304 0.840 1.635
H: -0.972 -0.786 0.289
C: 1.665 -6.096 1.042
O: 0.399 -5.433 0.698
O: 1.857 -5.943 2.415
C: 1.854 -7.487 0.316
F: 0.917 -8.394 0.657
F: 1.544 -7.393 -0.978
F: 3.010 -8.014 0.492
C: 0.303 -4.983 -0.676
C: -0.904 -4.085 -0.567
H: -1.016 -3.551 -1.511
H: -1.875 -4.575 -0.502
H: -0.789 -3.346 0.226
H: 0.071 -5.819 -1.336
H: 1.173 -4.431 -1.033
H: 2.464 -5.472 0.642
C: -4.606 -3.770 -4.321
C: -3.712 -3.167 -3.221
O: -3.774 -1.791 -3.224
H: -4.297 -3.463 -5.320
H: -5.658 -3.532 -4.166
H: -4.582 -4.857 -4.238
H: -2.690 -3.530 -3.327
H: -4.072 -3.601 -2.288
H: -3.361 -1.461 -2.423
C: -1.220 0.027 -5.103
└──

## Exercise
Next, find "1.558 3.192" and "1.207" in the calculation results above, and print these two lines and those between.

## Reply
H: 1.558 3.192 0.131
H: 1.567 0.992 0.975
H: 3.174 1.073 0.221
H: 1.574 -3.235 -1.791
H: 0.369 -1.999 -2.009
H: -0.223 -4.259 -0.800
H: 0.742 -3.676 0.524
H: -1.802 -3.495 0.683
H: -0.837 -2.197 1.302
H: -2.040 -2.252 -1.488
H: -0.365 -0.198 1.037
H: -0.603 1.191 -0.017
H: -1.973 0.571 0.899
H: -3.802 -2.702 -0.099
H: -5.435 -1.847 1.402
H: -4.422 -2.611 2.639
H: -4.836 -0.885 2.745
H: -3.677 -0.588 -1.821
H: -5.455 -2.452 -1.552
H: -6.301 -1.320 -0.535
H: -6.386 -1.414 -3.374
H: -7.165 -0.256 -2.346
H: -5.553 0.092 -2.977
H: 4.278 -2.985 0.427
H: 4.797 -1.311 0.558
H: 5.518 -3.032 -1.845
H: 6.520 -2.962 -0.397
H: 6.269 -1.503 -1.337
C: 0.345 -1.456 3.702
C: -0.619 -0.648 4.545
O: -1.707 -0.159 3.756
H: 0.723 -0.861 2.876
H: 1.195 -1.807 4.289
H: -0.156 -2.328 3.274
H: -0.133 0.234 4.960
H: -1.003 -1.247 5.380
H: -2.150 -0.917 3.362
C: 0.518 6.860 -0.645
C: 1.760 6.703 -1.500
O: 2.096 5.330 -1.707
H: 0.657 6.374 0.322
H: 0.289 7.913 -0.477
H: -0.345 6.396 -1.128
H: 2.622 7.154 -1.008
H: 1.624 7.200 -2.466
H: 1.354 4.911 -2.152
C: -0.848 -7.348 0.285
C: -1.537 -6.610 1.417
O: -2.746 -5.985 0.986
H: -0.633 -6.665 -0.538
H: 0.088 -7.796 0.620
H: -1.488 -8.144 -0.103
H: -0.902 -5.808 1.792
H: -1.746 -7.290 2.248
H: -3.335 -6.672 0.662
C: -4.544 0.606 5.552
C: -4.917 -0.809 5.946
O: -5.861 -1.387 5.046
H: -5.432 1.239 5.515
H: -3.835 1.037 6.260
H: -4.080 0.617 4.564
H: -5.390 -0.828 6.927
H: -4.021 -1.437 5.993
H: -5.463 -1.390 4.170
C: 6.124 6.023 -0.679
C: 5.719 4.733 0.009
O: 4.512 4.892 0.753
H: 6.257 6.818 0.057
H: 7.056 5.897 -1.231
H: 5.348 6.345 -1.380
H: 6.483 4.420 0.714
H: 5.593 3.933 -0.730
H: 3.826 5.156 0.131
C: -5.983 -3.089 -7.383
C: -6.892 -1.901 -7.127
O: -6.517 -1.180 -5.956
H: -5.990 -3.764 -6.527
H: -6.301 -3.642 -8.268
H: -4.952 -2.761 -7.539
H: -7.915 -2.233 -6.958
H: -6.894 -1.229 -7.991
H: -5.619 -0.860 -6.081
C: 10.293 5.905 -0.006
C: 9.990 4.554 0.614
O: 8.867 3.923 0.004
H: 9.426 6.562 0.071
H: 11.139 6.384 0.489
H: 10.536 5.798 -1.067
H: 9.734 4.667 1.666
H: 10.865 3.899 0.549
H: 9.069 3.795 -0.927

Calculated values
* orbital gap: 9.9 eV
* spin multiplicity: 1
* E_LUMO: 0.56 eV
* net charge: 0
* HOMO: -9.38 eV
* SMILES: CCOP(=O)(CCC[C@H](OC)[C@@H](OC)[C@H](Cl)CC)OCC.CCO.CCO.CCO.CCO.CCO.CCO.CCO

Below is a 12-piece molecular cluster, C28H72F6O14 overall in a non-equilibrium geometry, with properties calculated with ωB97M-V/def2-TZVPD.

Element x y z (Å)
C: -1.244 0.024 -0.388
O: -1.386 1.256 0.376
O: -2.564 -0.209 -0.882
C: -0.107 0.112 -1.474
F: 1.071 0.468 -0.886
F: 0.212 -1.063 -2.133
F: -0.362 1.034 -2.323
C: -0.263 1.667 1.207